A tessellator object decomposes a polygon description into a set of triangles. Use the tessellator object to convert complex and/or concave polygons into a form suitable for drawing with the IDLgrPolygon object. IDLgrPolygon can draw only convex polygons correctly.

The polygon contours may intersect each other and may be self-intersecting. The contours may be disjoint, overlapping, or contained within other contours. The contours may also be degenerate, may contain repeated points, and may or may not be closed. The order of the vertices may be either counter-clockwise or clockwise. Tesselation may produce unexpected results if the input polygon contours are not coplanar, or if a contour is not planar.

The tessellator object uses the “odd-winding rule” to determine if a point is in the interior of the polygon and therefore contained in a triangle output by the tessellator. With this rule, a point is in the interior if it is circled an odd number of times as we travel around each of the contours.

Note: The INTERIOR keyword for the AddPolygon method is no longer needed to inform the tessellator that the polygon defines an exterior or interior boundary. This keyword is ignored by the tessellator because it now performs the interior testing using the odd-winding rule.

Specify polygon contours with calls to the IDLgrTessellator::AddPolygon method. After adding all the contours, use the IDLgrTessellator::Tessellate method to perform the tessellation and retrieve the resulting list of vertices and connectivity array.

If the polygon contours contain intersecting or self-intersecting contours, the tessellator may return vertices that were not in the original set of vertices specified with the IDLgrTessellator::AddPolygon method. These vertices are created by the intersecting contours.

If your vertex data also includes other information, such as a color for each vertex, then you may wish for this extra information to be created for any new vertices generated by the tessellator. Use the AUXDATA keywords for IDLgrTessellator::AddPolygon and IDLgrTessellator::Tessellate to pass in and retrieve your per-vertex data. The tessellator object interpolates the per-vertex data from neighboring vertices to create new per-vertex data for the new vertices it generates.

In the following example of handling per-vertex data with generated vertices, the polygon is a simple self-intersecting “bow-tie” polygon. It is submitted to the tessellator with four vertices, but the tessellator returns a fifth at the point of self-intersection. Color data for the four original vertices is also supplied, and the tessellator returns a fifth color.

PRO tessaux    
   oTess = OBJ_NEW('IDLgrTessellator')
   colors = [[0,255,0],[0,255,0],[0,64,0],[0,64,0]]
   oTess->AddPolygon, [0,1,0,1], [0,0,1,1], AUXDATA=colors
   result = oTess->Tessellate(v, c, AUXDATA=aux)
   PRINT, v[*,4]
   PRINT, aux[*,4]
   oPoly = OBJ_NEW('IDLgrPolygon', v, POLYGONS=c, $
   OBJ_DESTROY, [oTess, oPoly]

The generated output will be:

**Crystal structures, kept here for reference:**
<<<
Here is a relaxed TaRh2Cl crystal from the Alexandria database. Energies are from PBE-GGA.

Results
The calculation puts the magnetic moment at 0.0 μB per formula unit. As for the uncorrected formation energy: 0.2681 eV per atom.

Unit cell a=4.1518 b=4.1518 c=7.3959 alpha=90.00 beta=90.00 gamma=90.00
Closest atoms and distances in Å follow each position.
Space group I4/mmm (No. 139)
Unique sites:
Ta 0.0000 0.0000 0.0000  8 Rh 2.78, 4 Cl 2.94
Rh 0.0000 0.5000 0.2500  4 Ta 2.78, 4 Cl 2.78, 4 Rh 2.94
Cl 0.0000 0.0000 0.5000  8 Rh 2.78, 4 Ta 2.94

=====

Here is a relaxed InCu2Pt2 crystal from the Alexandria database. Energies are from PBE-GGA.

Results
The energy of formation from the pure elements is -0.15 eV per atom. The calculation puts the magnetic moment at 0.0 μB per formula unit.

Unit cell a=7.2791 b=7.2791 c=2.9348 alpha=90.00 beta=90.00 gamma=90.00
Closest atoms and distances in Å follow each position.
Space group P4/mbm (No. 127)
Unique sites:
In 0.0000 0.0000 0.0000  4 Cu 2.90, 2 In 2.93, 8 Pt 3.06
Cu 0.1202 0.3798 0.0000  1 Cu 2.47, 6 Pt 2.56-2.64
Pt 0.1757 0.6757 0.5000  6 Cu 2.56-2.64

=====

Here is a relaxed Mg2CuIr crystal from the Alexandria database. Energies are from PBE-GGA.

Results
The energy of formation from the pure elements is -0.16 eV per atom. The calculation puts the magnetic moment at 0.0 μB per formula unit.

Unit cell a=6.2606 b=6.2606 c=6.2606 alpha=90.00 beta=90.00 gamma=90.00
Closest atoms and distances in Å follow each position.
Space group F-43m (No. 216)
Unique sites:
Mg 0.0000 0.0000 0.0000  4 Ir 2.71, 4 Mg 2.71
Mg 0.2500 0.2500 0.2500  4 Mg 2.71, 4 Cu 2.71
Cu 0.0000 0.0000 0.5000  4 Mg 2.71, 4 Ir 2.71
Ir 0.2500 0.2500 0.7500  4 Mg 2.71, 4 Cu 2.71

=====

Here is a relaxed CeGaRh2 crystal from the Alexandria database. Energies are from PBE-GGA.

Results
The energy of formation from the pure elements is -0.74 eV per atom. The calculation puts the magnetic moment at 0.0 μB per formula unit.

Unit cell a=4.0401 b=10.7760 c=6.6511 alpha=90.00 beta=90.00 gamma=90.00
Closest atoms and distances in Å follow each position.
Space group Cmcm (No. 63)
Unique sites:
Ce 0.0000 0.0839 0.2500  4 Rh 2.82, 3 Ga 3.05-3.09
Ga 0.0000 0.1993 0.7500  6 Rh 2.57-2.59
Rh 0.0000 0.3645 0.0338  3 Ga 2.57-2.59, 2 Ce 2.82, 1 Rh 2.88

=====

Here is a relaxed La6CoCuSn2 crystal from the Alexandria database. Energies are from PBE-GGA.

Results
The energy of formation from the pure elements is -0.34 eV per atom. The calculation puts the magnetic moment at 0.0 μB per formula unit.

Unit cell a=7.4516 b=7.5171 c=7.6161 alpha=60.56 beta=63.53 gamma=89.97
Closest atoms and distances in Å follow each position.
Space group P-1 (No. 2)
Unique sites:
La 0.1562 0.2796 0.0366  1 Co 2.59, 1 Cu 2.88
La 0.2474 0.2870 0.4929  1 Cu 2.83, 1 Co 2.90
La 0.3141 0.8415 0.9719  1 Co 2.60, 1 Cu 2.88
Co 0.0000 0.0000 0.0000  4 La 2.59-2.60
Cu 0.5000 0.5000 0.0000  6 La 2.83-2.88
Sn 0.2522 0.7581 0.4985  6 La 3.36-3.71

=====
>>>
**The crystal structures stop here:**

0.500000     0.500000
   0     159       0




See IDLgrTessellator::Init.


Objects of this class have no properties of their own.


This class has the following methods:

In addition, this class inherits the methods of its superclasses (if any).

Version History

